About 3 days. I do it every now and then since it does help relief a medical issue.
Interestingly, I don’t get hungry and don’t feel much difference overall. I could go much longer, but I don’t want to worry about refeeding syndrome.
About 3 days. I do it every now and then since it does help relief a medical issue.
Interestingly, I don’t get hungry and don’t feel much difference overall. I could go much longer, but I don’t want to worry about refeeding syndrome.
Pretty much everything? I have very specific likes and pretty much stopped consuming things outside of those, since I can’t even fit all the stuff I’m guaranteed to like.
I guess among like-minded people, Final Fantasy 7 is the most glaring omission.
For lemmy, it’s probably anything Star Wars or Star Trek.
I love almost everything about this, apparently 100h+ in Infinite Wealth was not enough for me. Although, having discovered Like a Dragon only because of their switch to turn-based combat, I’m not sure the brawling is a good fit for me.
I’ll probably pick it up eventually, assuming a new main game doesn’t drop till then.
Given an unlimited amount of tries, I can win any major lottery 10 times in a row.
Given an unlimited amount of tries, I still cannot go super saiyan. Believe me, I’m close to that amount of tries!
The internet. We’ve had a solid few years, but it has become a giant heap of shit for the most part.
Back then, not everything was an AI generated, SEO, ad riddled, interaction fishing, time wasting, data collecting nightmare with auto-playing videos and a dark pattern employing cookie banner.
I guess you haven’t had bad hemorrhoids yet, lucky you.
Same game and roughly same amount of time. Just started the main quest in Novigrad.
Got both DLCs for like 3 bucks, which was nice.
Everything from 3 times a day to once every 3 days is normal. It depends on how much you eat, how much of it your body can absorb, your fiber intake and some genetic variance too.
Your intestines aren’t a conveyor belt, things don’t constantly move. There are multiple muscles acting as a valve between different sections. Based on the factors above your body decides when to push stuff to the next section including the exit.
Not entirely, however, I feel as though proper resource management got less common over time. While the ideas are still present in modern games, they tend to be easy enough that most resources can just be horded. Most people don’t even use consumables nowadays. Games are seemingly balanced around ignoring entire systems.
From my point of view, you’ve got it wrong, but so do many developers. A good JRPG is all about resource management. Your HP, MP, items, money and the balance between these and your EXP and equipment. Combat is simply a drain on your resources up until the final boss, which should require more strategy. This needs something akin to a dungeon without constant healing and money being a thight resource. Once you’re in a dungeon, you should either be prepped or doomed.
You mostly see this done in dungeon crawlers, think any Etrian Odyssey game for example. Persona 5 goes for the same thing, as do most Shin Megami Tensei games.
Most modern games, however, are overly lenient with either money or healing. Often times, combat is easy enough to not even drain your resources. That’s when endless grinding becomes an option. Once you’ve destroyed this balance, you need something else to keep attention and that’s where I think your observation comes in.
I think they want to intimidate others, but honestly giving him this much of a spotlight should be the dream of anyone thinking about attacking another CEO for attention.
Level scaling is never fun and never will be, I think. There is no progression if your fights with early enemies are just as hard as they were 50h ago.
Unrelated to this entry: data records >
-- begin --
--- 1 ---
C2H4N2O3 | the ωB97M-V functional and the def2-TZVPD basis

```
11
Properties=species:S:1:pos:R:3:lowdin_charge:R:1
C 0.0456 0.4284 -0.1514 -0.5029
C -0.1313 -0.6233 1.7758 -0.1741
H -0.2918 1.0464 -3.1720 0.2667
H 0.6886 -1.4258 -1.0648 0.1888
H -0.8433 -0.8105 2.5725 0.1374
H 1.0940 -0.4781 1.8738 0.1926
N -0.3078 1.3604 -0.9539 0.1456
N 0.5081 -0.8745 -0.1672 0.0682
O 0.4843 0.6349 -2.1707 -0.2714
O -0.4267 -1.4558 0.7532 -0.0364
O -0.2495 0.7504 1.1541 -0.0144
```

Calculated values
- HOMO (eV) = -9.4
- orbital gap (eV) = 9.65

--- 2 ---
C2H4N2O3 | the ωB97M-V functional and the def2-TZVPD basis

```
11
Properties=species:S:1:pos:R:3:lowdin_charge:R:1
C 1.0101 0.5199 0.9858 -0.0292
C 1.4982 0.1490 -0.1873 -0.2857
N -1.1831 -1.2902 -0.0255 0.0008
O -0.7048 -0.3084 -0.9198 -0.2741
N -0.9433 1.1386 -0.2271 0.0168
O -0.7992 2.0096 -0.9803 0.0865
O 2.2006 0.0837 -1.1141 0.1831
H -0.6138 -2.1179 -0.1913 0.0885
H -2.1407 -1.5045 -0.2977 0.0793
H 0.3154 -0.1086 1.5131 0.0528
H 1.3604 1.4287 1.4443 0.0813
```

Calculated values
- HOMO (eV) = -8.9
- SMILES = C=C=O.NON=O
- orbital gap (eV) = 8.72

--- 3 ---
C2H4N2O3 | the ωB97M-V functional and the def2-TZVPD basis

```
11
Properties=species:S:1:pos:R:3:lowdin_charge:R:1
C -0.5959 0.9428 0.0163 -0.3802
C -1.6477 -0.2470 0.0026 -0.4243
H 1.9052 -0.6084 -0.8388 0.1097
H 1.9243 -0.6682 0.8546 0.1092
H 1.4204 1.4881 -0.0098 0.1560
H -0.1640 -1.5906 -0.0748 0.0729
N 1.3617 -0.5521 0.0178 0.0099
N 0.7641 0.7081 0.0115 -0.0121
O -1.0167 2.0553 -0.0014 0.1173
O -1.1455 -1.5132 0.0027 0.0786
O -2.8058 -0.0149 0.0193 0.1629
```

Calculated values
- HOMO (eV) = -10.2
- SMILES = NNC(=O)C(=O)O
- orbital gap (eV) = 10.47

Ordering by calculated energy gives the sequence 3, 2, 1, with the first entry being the most stable.

--- 1 ---
C2H4N2O3 | the ωB97M-V functional and the def2-TZVPD basis

```
11
Properties=species:S:1:pos:R:3:lowdin_charge:R:1
C 0.6714 -0.6913 -0.0333 -0.3169
C -0.1905 0.6879 0.0513 -0.3374
H 2.0856 0.7957 0.2515 -0.0730
H 2.8209 -0.8041 -0.4314 0.2790
H -2.2841 1.4447 0.0936 0.2232
H -1.6785 -1.3959 0.1017 0.1705
N 1.9680 -0.0689 0.3225 0.1340
N -1.5569 0.6157 -0.2721 0.0292
O 0.2252 -1.8498 -0.2329 0.0350
O 0.3759 1.8190 -0.1236 0.0051
O -2.4370 -0.5529 0.2728 -0.1488
```

Calculated values
- HOMO (eV) = -10.1
- orbital gap (eV) = 9.42

--- 2 ---
C2H4N2O3 | the ωB97M-V functional and the def2-TZVPD basis

```
11
Properties=species:S:1:pos:R:3:lowdin_charge:R:1
C 2.2077 0.8162 0.0091 -0.0617
C 0.4472 -0.8191 -0.6518 -0.3516
N 1.1922 0.0828 -0.6694 0.0931
N -2.7867 -0.4804 1.1687 -0.0913
O -0.3420 -1.6192 -0.8464 0.1488
O -3.5352 0.3328 1.5026 0.0332
O -2.5881 -0.3439 -0.2414 -0.0697
H 3.0208 0.8401 -0.7305 0.0956
H 2.4192 0.4078 0.9772 0.0880
H 1.8327 1.7951 -0.0068 0.0662
H -1.8679 -1.0123 -0.5112 0.0495
```

Calculated values
- HOMO (eV) = -10.1
- SMILES = CN=C=O.O=NO
- orbital gap (eV) = 10.58
-- stop --
You could probably design around that by providing in-depth build options such that optimized builds outscale other entities of the same level. Later game enemies themselves would be optimized better and better. But that’s really hard and I’ve never seen it done. Why even provide a dynamic build for each enemy with each level if you could just have a normal non-scaling progression?
These systems often lead to me avoiding combat altogether. While not exactly a crpg, Oblivion was more fun to me without ever leveling up (which was optional, but made fights kinda pointless).
That’s basically how ‘Pokemon Channel’ played.
That mech-woman seems like a direct copy of Kerrigan from StarCraft, their faction even assimilates others.
I’m surprisingly indifferent about this, despite playing ER multiple times and loving the DLC. Maybe I’ll get it at a discount in the future.
My homecooked meals aren’t healthy enough! My eating habits are too salty with too little vegetables.
Yeah, I’m somewhat of a health nut otherwise.
# Next to the entry, the page also holds records of molecules
/*
Entry 1:
Entry from the OMol25 dataset: a gas-phase ion, C8H12N3O3S (charge +1) (ωB97M-V with the def2-TZVPD basis set).

XYZ file:
```
27
Properties=species:S:1:pos:R:3
N -2.444 -3.654 -1.617
C -1.908 -2.725 -0.900
C -1.244 -1.598 -1.339
C -0.694 -0.630 -0.429
N -0.885 -0.771 0.857
C -0.550 0.273 1.696
C 0.161 1.369 1.368
O 0.695 1.610 0.147
C 1.802 2.574 0.290
S 3.202 1.641 1.096
C 2.332 2.906 -1.156
O 2.560 1.715 -1.869
C -1.679 -1.789 1.383
O -2.064 -1.830 2.497
N -2.023 -2.760 0.493
H -2.404 -3.560 -2.633
H -2.931 -4.454 -1.096
H -1.337 -1.330 -2.380
H -0.105 0.226 -0.762
H -0.887 0.076 2.721
H 0.288 2.375 1.930
H 1.534 3.449 0.828
H 3.199 2.232 2.225
H 3.242 3.533 -1.194
H 1.585 3.505 -1.734
H 3.095 1.118 -1.327
H -2.540 -3.501 0.906
```

The charge is +1. The structure (SMILES) is [NH2+]=c1ccn(/C=C\O[C@@H](S)CO)c(=O)[nH]1. The energy above the lowest of the compared OMol25 structures with the same formula, charge and spin comes out at 0.070 eV. Its spin multiplicity is 1.

Löwdin atomic charges, in units of e:
1 N 0.209
2 C -0.331
3 C 0.040
4 C 0.072
5 N 0.038
6 C -0.012
7 C -0.128
8 O -0.185
9 C -0.505
10 S 0.861
11 C -0.266
12 O -0.076
13 C -0.456
14 O 0.176
15 N 0.224
16 H 0.154
17 H 0.189
18 H 0.120
19 H 0.144
20 H 0.144
21 H 0.168
22 H 0.104
23 H -0.165
24 H 0.127
25 H 0.138
26 H 0.053
27 H 0.165

Entry 2:
Entry from the OMol25 dataset: 2 unconnected molecules or ions with the total composition C8H12N4 (ωB97M-V with the def2-TZVPD basis set).

XYZ file:
```
24
Properties=species:S:1:pos:R:3
C -2.558 -1.532 -2.818
C -2.283 -0.384 -1.900
C -3.138 0.386 -1.172
N -2.414 1.181 -0.327
C -1.092 0.805 -0.563
N -0.970 -0.142 -1.484
H -3.035 -1.019 -3.656
H -3.279 -2.192 -2.360
H -1.707 -2.115 -3.142
H -4.211 0.579 -1.245
H -2.698 1.810 0.399
H -0.247 0.967 0.087
C 2.118 -1.801 0.216
C 2.287 -0.609 1.106
C 2.477 0.656 0.630
N 2.178 1.542 1.630
C 1.827 0.759 2.704
N 1.859 -0.520 2.443
H 1.495 -2.623 0.642
H 3.040 -2.224 -0.161
H 1.518 -1.450 -0.651
H 2.732 1.161 -0.307
H 2.032 2.532 1.568
H 1.335 1.169 3.595
```

The structure (SMILES) is Cc1c[nH]cn1.Cc1c[nH]cn1. The energy above the lowest of the compared OMol25 structures with the same formula, charge and spin comes out at 1.171 eV. Its spin multiplicity is 1.

Löwdin atomic charges, in units of e:
1 C -0.047
2 C -0.353
3 C -0.101
4 N 0.050
5 C -0.183
6 N 0.095
7 H 0.074
8 H 0.068
9 H 0.073
10 H 0.120
11 H 0.138
12 H 0.092
13 C -0.057
14 C -0.341
15 C -0.114
16 N 0.033
17 C -0.230
18 N 0.092
19 H 0.086
20 H 0.061
21 H 0.065
22 H 0.126
23 H 0.138
24 H 0.115

Entry 3:
Entry from the OMol25 dataset: C8H12N4O3 in the gas phase (ωB97M-V with the def2-TZVPD basis set).

XYZ file:
```
27
Properties=species:S:1:pos:R:3
N 0.420 2.310 1.668
C -0.016 1.412 0.575
C -1.475 1.567 0.042
C -2.105 0.268 -0.014
C -3.405 -0.070 -0.210
N -3.530 -1.479 -0.213
C -2.163 -1.889 -0.112
N -1.379 -0.866 -0.002
C 0.959 1.560 -0.680
O 0.928 2.533 -1.446
N 2.014 0.633 -0.785
C 2.664 -0.163 0.287
C 2.363 -1.618 0.269
*/
When does something count as being eaten - once you swallow it? I don’t think you’d succeed at that with lava.
I don’t remember believing in Santa, so at the very least it wasn’t an important moment of my childhood. Writing letters isn’t a common thing where I live, instead we got a thick catalogue and circled everything we liked. I guess that made it pretty obvious from the very beginning.
Whether or not I’d lie to my hypothetical children… I don’t know. I guess I don’t care either way and would leave it up to my partner.
As for me, it used to be 50/50 back when I studied. However, ever since I’ve entered the workforce I mostly stopped watching videos.
I need to constantly learn new things, tackle new problems and optimize stuff. I usually go for the highest difficulties too. In theory, my job provides these tasks for me, however, I get a lot of satisfaction from trying and failing things over and over until I’ve figured them out myself. I can’t usually do this professionally, as most problems have already been solved and I’m just learning how others did it. The same as playing with a guide or watching a video on a game. It just doesn’t scratch the itch.
Ignoring all the other choices, why is his right arm green?